The opportunities for children’s entertainment are seemingly endless today. Whether it’s games on mobile phones and tablets, social media, TV and even virtual reality headsets, all these tools offer great ways for your kids to learn vital skills and find out about the world around them.
Does this mean reading stories in ‘old fashioned’ paper books is no longer so important to prioritise? We’d beg to differ!
Reading books offers your children tons of benefits – we’ve outlined five key reasons that reading for pleasure is still important today. And we’re not alone in thinking so – recent research showed that nine in ten parents think reading books is just as important in the digital age as it ever was.
**The article is interrupted by data records:**
'''
DFT (GGA-PBE) results for a relaxed structure of CsMg2P2.

Lattice parameters (Å, degrees): 4.4691 4.4691 14.2009 90.00 90.00 90.00
Closest atoms and distances in Å follow each position.
Space group I4/mmm (No. 139)
Unique sites:
Cs 0.0000 0.0000 0.0000 (multiplicity 2)  8 P 3.86, 8 Mg 4.19
Mg 0.0000 0.5000 0.2500 (multiplicity 4)  4 P 2.60
P 0.0000 0.0000 0.3439 (multiplicity 4)  4 Mg 2.60

formation energy from the elements: -0.485 eV/atom
density of states at the Fermi level: 0.565 states/eV per atom
E: -34.57 eV for the cell shown

DFT (GGA-PBE) results for a relaxed structure of NdZn7.

Lattice parameters (Å, degrees): 10.5567 7.1065 4.0892 90.00 112.55 90.00
Closest atoms and distances in Å follow each position.
Space group C2/m (No. 12)
Unique sites:
Nd 0.0000 0.0000 0.0000 (multiplicity 2)  12 Zn 3.14-3.33
Zn 0.0000 0.5000 0.0000 (multiplicity 2)  6 Zn 2.48-2.77
Zn 0.1382 0.3162 0.6386 (multiplicity 8)  6 Zn 2.48-2.77
Zn 0.2459 0.0000 0.7461 (multiplicity 4)  7 Zn 2.48-2.68

formation energy from the elements: -0.217 eV/atom
density of states at the Fermi level: 0.365 states/eV per atom
E: -30.84 eV for the cell shown
'''
So, here are five reasons why reading for pleasure is crucial for your child’s development.
1. Books Improve Creative Thinking
Whenever your child reads a book, they have to look at a piece of paper, take in the words on the page, and construct an imaginary universe in their mind, featuring the characters about whom they are reading. After they’ve finished reading, they can then even add-in characters of their own and further develop this imaginary world – perhaps even playing it out!
It’s this mental engagement which is so valuable – it’s about being active, rather than just passively absorbing content. Compare it to simply watching something on a screen. While adaptations of great stories can be watched as films and programmes on television (from Beatrix Potter to Peter Pan), the words on the page have already been brought to life by someone else. When they are watching an imaginary world on screen, your child has less need to use their own independent thought to bring this world to life. Reading is a real work-out for the mind, encouraging lots of parts of the brain to engage – much more than passive screen gazing.
2. Reading Can Reduce Stress
School can be stressful for children, especially when it comes round to exam time. It’s perfectly natural to want some ‘down time’ and escape into a fantasy world, and books offer a great way of doing this. Whether they’re reading about colourful dragons taking off from mountains and flying through beautifully described worlds or stories about adventurous kids fighting crime, books give them an escape from the pressures of school life.
And, they do this in a more genuinely relaxing way than an alternative such as a video game – where there’s always the possibility of getting notifications about school work or notifications from their friends on social media. Reading is a genuine escape.
3. An opportunity for extra-curricular learning (without them realising it)
Reading gives your child a huge amount of extra-curricular learning without it feeling like they’re at school. Getting their noses in a book lets them learn about history, science, geography and even politics or philosophy – often while learning about topics that the school curriculum would never cover.
The varied knowledge about the world around them which your child can gain from reading means they become more well-rounded individuals. And - who knows? - it could even make them more employable when they get older – or at least have a better idea of what they want to study later in life.
4. Expands Your Child’s Vocabulary
A varied vocabulary is a fantastic tool for your child to have – not only does it generally make them more articulate; it also means they can use words more effectively in exams. Reading will enable your child to wow examiners with their syntax in English exams in particular, but can also help them express themselves when, say, evaluating the consequences of famous battles in their History exams.
The wider your child’s vocabulary, the more access they will have to the best marks available. Reading is almost certain to improve their exam performance both now and later in life.
5. Improves Their Writing Skills
Good reading leads to good writing. If you regularly encounter clever turns of phrase or ways of expressing things on the page, it’s much easier to imitate these when it comes to your own writing. The same goes for your children. If they enjoy reading and writing, they will become better at both, and reap the benefits of being able to express themselves more clearly and concisely as a result.
These are just a few of the many, many reasons why your children should start reading as much as possible, as early as possible.